== Excerpt ==
(1)
Molecular formula: C40H65F5InN2O4SSi
Method: DFT, wB97M-V/def2-TZVPD

```
! RIJCOSX wB97M-V def2-TZVPD def2/J DEFGRID3
* xyz -1 3
C 5.978 -4.749 -3.073
Si 6.261 -2.971 -2.590
C 6.723 -2.888 -0.768
C 4.783 -1.841 -2.837
C 4.292 -1.619 -4.277
C 3.186 -2.563 -4.713
F 3.817 -3.754 -5.118
F 2.687 -2.034 -5.928
In 1.446 -2.970 -3.333
S 2.281 -4.586 -1.592
C 0.859 -1.106 -2.292
C 1.158 0.096 -3.141
O 0.615 1.347 -2.630
C 1.360 1.876 -1.585
C 0.446 2.523 -0.550
F -0.782 2.827 -1.034
F 0.255 1.723 0.552
F 0.995 3.696 -0.082
C -0.340 -3.736 -4.412
O -1.586 -3.301 -3.793
C -2.098 -4.197 -2.902
C -3.103 -5.070 -3.309
C -3.643 -5.974 -2.404
C -3.172 -6.021 -1.097
C -2.171 -5.147 -0.693
C -1.638 -4.229 -1.588
C 7.696 -2.302 -3.628
C 7.856 -0.928 -3.831
C 8.908 -0.421 -4.586
C 9.832 -1.285 -5.162
C 9.694 -2.653 -4.978
C 8.639 -3.150 -4.222
H 6.849 -5.343 -2.778
H 5.858 -4.843 -4.153
H 5.093 -5.152 -2.580
H 7.802 -2.947 -0.617
H 6.238 -3.697 -0.218
H 6.379 -1.948 -0.330
H 5.071 -0.877 -2.399
H 3.979 -2.224 -2.201
H 5.122 -1.739 -4.986
H 3.930 -0.597 -4.409
H 2.406 -5.666 -2.370
H -0.222 -1.180 -2.138
H 1.332 -1.024 -1.308
H 2.239 0.235 -3.258
H 0.716 0.011 -4.134
H 2.056 2.652 -1.929
H 1.936 1.108 -1.060
H -0.368 -3.331 -5.425
H -0.340 -4.828 -4.471
H -3.455 -5.030 -4.333
H -4.431 -6.649 -2.717
H -3.591 -6.729 -0.391
H -1.792 -5.156 0.321
H -0.867 -3.538 -1.274
H 7.137 -0.238 -3.399
H 9.006 0.649 -4.734
H 10.648 -0.890 -5.755
H 10.402 -3.338 -5.432
H 8.530 -4.221 -4.091
C -4.955 0.380 0.053
C -4.879 -1.069 0.560
C -5.886 -1.323 1.683
C -5.510 -0.634 2.995
C -4.092 -1.001 3.432
C -3.039 -0.771 2.344
N -3.520 -1.421 1.084
O -3.301 -2.681 1.064
C -2.766 0.727 2.172
C -1.727 -1.444 2.728
C -5.160 -1.982 -0.630
H -5.770 0.453 -0.668
H -5.158 1.109 0.834
H -4.034 0.664 -0.454
H -5.948 -2.402 1.855
H -6.873 -0.995 1.344
H -5.607 0.452 2.903
H -6.215 -0.933 3.774
H -3.804 -0.417 4.310
H -4.069 -2.055 3.726
H -2.130 0.909 1.305
H -2.251 1.110 3.053
H -3.664 1.327 2.068
H -1.864 -2.493 2.974
H -1.316 -0.930 3.599
H -1.005 -1.377 1.913
H -4.439 -1.802 -1.428
H -6.161 -1.766 -1.008
H -5.105 -3.034 -0.361
C -0.025 5.334 5.001
C -1.002 5.052 3.845
C -1.101 6.257 2.911
C -1.833 7.441 3.544
C -3.211 7.035 4.066
C -3.190 5.813 4.991
N -2.390 4.733 4.324
O -3.075 4.100 3.444
C -2.643 6.169 6.379
C -4.605 5.281 5.182
C -0.467 3.834 3.108
H 0.989 5.145 4.649
H -0.048 6.360 5.357
H -0.213 4.669 5.844
H -1.627 5.952 2.001
H -0.091 6.546 2.612
H -1.236 7.876 4.351
H -1.950 8.231 2.800
H -3.675 7.864 4.607
H -3.859 6.809 3.214
H -2.507 5.266 6.976
H -3.367 6.806 6.890
H -1.704 6.710 6.357
H -5.101 5.100 4.233
H -5.182 6.019 5.742
H -4.596 4.347 5.745
H -0.357 2.987 3.789
H 0.515 4.071 2.698
H -1.098 3.522 2.281
*
```

Properties
F_max = 1.07 eV Å⁻¹
HOMO level (alpha / beta) = -0.18286 / -0.18286 Eh
LUMO (alpha / beta) = 1.94 / 1.84 eV
expectation value of S² = 2.008
DFT total energy = -91178.3873 eV



(2)
Molecular formula: CH12N2O4
Method: DFT, wB97M-V/def2-TZVPD

```
! RIJCOSX wB97M-V def2-TZVPD def2/J DEFGRID3
* xyz 0 1
N 0.555 -0.400 -1.369
C 0.047 0.834 -1.622
N -1.113 1.270 -1.266
H -0.087 -1.095 -0.917
H 1.569 -0.494 -1.245
H 0.786 1.481 -2.168
H -1.264 2.133 -1.718
H 0.737 -0.803 2.412
H -0.156 0.190 1.657
O 0.800 -0.068 1.809
H -2.306 -2.195 -0.536
H -1.837 -1.187 0.522
O -1.495 -1.983 0.053
H -1.707 0.963 0.359
H -2.284 1.456 1.761
O -1.863 0.681 1.292
H 3.734 0.356 0.681
H 2.275 -0.032 0.744
O 3.078 -0.113 0.174
*
```

Properties
F_max = 2.84 eV Å⁻¹
HOMO level = -0.33986 Eh
LUMO = 0.69 eV
structure (SMILES) = [H]/N=C/N.O.O.O.O
energy relative to the best compared isomer or geometry (same formula, charge and spin) = 0.218 eV
DFT total energy = -12402.6231 eV


# 1
DFT (ωB97M-V/def2-TZVPD) results for a structure of composition C14H20ClN4O4Sn.

Last column: Mulliken charge in e.
Element x y z (Å)
H (-0.264, 4.371, -1.825)  0.432
H (3.403, 3.278, 1.201)  0.388
C (0.537, 3.496, -0.039)  -0.774
O (3.027, -0.061, 0.864)  -0.375

== Activity ==
Now type out the whole of the contents above with every line break kept.

== Worked solution ==
(1)
Molecular formula: C40H65F5InN2O4SSi
Method: DFT, wB97M-V/def2-TZVPD

```
! RIJCOSX wB97M-V def2-TZVPD def2/J DEFGRID3
* xyz -1 3
C 5.978 -4.749 -3.073
Si 6.261 -2.971 -2.590
C 6.723 -2.888 -0.768
C 4.783 -1.841 -2.837
C 4.292 -1.619 -4.277
C 3.186 -2.563 -4.713
F 3.817 -3.754 -5.118
F 2.687 -2.034 -5.928
In 1.446 -2.970 -3.333
S 2.281 -4.586 -1.592
C 0.859 -1.106 -2.292
C 1.158 0.096 -3.141
O 0.615 1.347 -2.630
C 1.360 1.876 -1.585
C 0.446 2.523 -0.550
F -0.782 2.827 -1.034
F 0.255 1.723 0.552
F 0.995 3.696 -0.082
C -0.340 -3.736 -4.412
O -1.586 -3.301 -3.793
C -2.098 -4.197 -2.902
C -3.103 -5.070 -3.309
C -3.643 -5.974 -2.404
C -3.172 -6.021 -1.097
C -2.171 -5.147 -0.693
C -1.638 -4.229 -1.588
C 7.696 -2.302 -3.628
C 7.856 -0.928 -3.831
C 8.908 -0.421 -4.586
C 9.832 -1.285 -5.162
C 9.694 -2.653 -4.978
C 8.639 -3.150 -4.222
H 6.849 -5.343 -2.778
H 5.858 -4.843 -4.153
H 5.093 -5.152 -2.580
H 7.802 -2.947 -0.617
H 6.238 -3.697 -0.218
H 6.379 -1.948 -0.330
H 5.071 -0.877 -2.399
H 3.979 -2.224 -2.201
H 5.122 -1.739 -4.986
H 3.930 -0.597 -4.409
H 2.406 -5.666 -2.370
H -0.222 -1.180 -2.138
H 1.332 -1.024 -1.308
H 2.239 0.235 -3.258
H 0.716 0.011 -4.134
H 2.056 2.652 -1.929
H 1.936 1.108 -1.060
H -0.368 -3.331 -5.425
H -0.340 -4.828 -4.471
H -3.455 -5.030 -4.333
H -4.431 -6.649 -2.717
H -3.591 -6.729 -0.391
H -1.792 -5.156 0.321
H -0.867 -3.538 -1.274
H 7.137 -0.238 -3.399
H 9.006 0.649 -4.734
H 10.648 -0.890 -5.755
H 10.402 -3.338 -5.432
H 8.530 -4.221 -4.091
C -4.955 0.380 0.053
C -4.879 -1.069 0.560
C -5.886 -1.323 1.683
C -5.510 -0.634 2.995
C -4.092 -1.001 3.432
C -3.039 -0.771 2.344
N -3.520 -1.421 1.084
O -3.301 -2.681 1.064
C -2.766 0.727 2.172
C -1.727 -1.444 2.728
C -5.160 -1.982 -0.630
H -5.770 0.453 -0.668
H -5.158 1.109 0.834
H -4.034 0.664 -0.454
H -5.948 -2.402 1.855
H -6.873 -0.995 1.344
H -5.607 0.452 2.903
H -6.215 -0.933 3.774
H -3.804 -0.417 4.310
H -4.069 -2.055 3.726
H -2.130 0.909 1.305
H -2.251 1.110 3.053
H -3.664 1.327 2.068
H -1.864 -2.493 2.974
H -1.316 -0.930 3.599
H -1.005 -1.377 1.913
H -4.439 -1.802 -1.428
H -6.161 -1.766 -1.008
H -5.105 -3.034 -0.361
C -0.025 5.334 5.001
C -1.002 5.052 3.845
C -1.101 6.257 2.911
C -1.833 7.441 3.544
C -3.211 7.035 4.066
C -3.190 5.813 4.991
N -2.390 4.733 4.324
O -3.075 4.100 3.444
C -2.643 6.169 6.379
C -4.605 5.281 5.182
C -0.467 3.834 3.108
H 0.989 5.145 4.649
H -0.048 6.360 5.357
H -0.213 4.669 5.844
H -1.627 5.952 2.001
H -0.091 6.546 2.612
H -1.236 7.876 4.351
H -1.950 8.231 2.800
H -3.675 7.864 4.607
H -3.859 6.809 3.214
H -2.507 5.266 6.976
H -3.367 6.806 6.890
H -1.704 6.710 6.357
H -5.101 5.100 4.233
H -5.182 6.019 5.742
H -4.596 4.347 5.745
H -0.357 2.987 3.789
H 0.515 4.071 2.698
H -1.098 3.522 2.281
*
```

Properties
F_max = 1.07 eV Å⁻¹
HOMO level (alpha / beta) = -0.18286 / -0.18286 Eh
LUMO (alpha / beta) = 1.94 / 1.84 eV
expectation value of S² = 2.008
DFT total energy = -91178.3873 eV



(2)
Molecular formula: CH12N2O4
Method: DFT, wB97M-V/def2-TZVPD

```
! RIJCOSX wB97M-V def2-TZVPD def2/J DEFGRID3
* xyz 0 1
N 0.555 -0.400 -1.369
C 0.047 0.834 -1.622
N -1.113 1.270 -1.266
H -0.087 -1.095 -0.917
H 1.569 -0.494 -1.245
H 0.786 1.481 -2.168
H -1.264 2.133 -1.718
H 0.737 -0.803 2.412
H -0.156 0.190 1.657
O 0.800 -0.068 1.809
H -2.306 -2.195 -0.536
H -1.837 -1.187 0.522
O -1.495 -1.983 0.053
H -1.707 0.963 0.359
H -2.284 1.456 1.761
O -1.863 0.681 1.292
H 3.734 0.356 0.681
H 2.275 -0.032 0.744
O 3.078 -0.113 0.174
*
```

Properties
F_max = 2.84 eV Å⁻¹
HOMO level = -0.33986 Eh
LUMO = 0.69 eV
structure (SMILES) = [H]/N=C/N.O.O.O.O
energy relative to the best compared isomer or geometry (same formula, charge and spin) = 0.218 eV
DFT total energy = -12402.6231 eV


# 1
DFT (ωB97M-V/def2-TZVPD) results for a structure of composition C14H20ClN4O4Sn.

Last column: Mulliken charge in e.
Element x y z (Å)
H (-0.264, 4.371, -1.825)  0.432
H (3.403, 3.278, 1.201)  0.388
C (0.537, 3.496, -0.039)  -0.774
O (3.027, -0.061, 0.864)  -0.375